Entries
/*
(1)
Computed, not measured: 3 unconnected molecules or ions with the total composition C17H27BrFNO8S2, with ωB97M-V/def2-TZVPD.

Each line ends with the Mulliken charge.
Cartesian coordinates (Å):
Br: -2.35 2.71 -5.07  -0.16
S: -2.49 3.67 0.23  1.25
S: 1.60 -6.43 3.23  1.15
F: 3.40 -0.91 -3.32  -0.21
O: 0.94 -7.57 2.63  -0.65
O: 4.90 -1.86 -2.01  -0.41
O: 0.17 -2.23 -0.45  -0.57
O: 1.81 -6.39 4.65  -0.68
O: -1.06 3.50 0.13  -0.66
O: -0.98 -0.43 -1.17  -0.39
O: 2.84 -1.34 0.52  -0.43
O: -3.30 3.66 -0.96  -0.67
N: 3.61 -0.09 -1.23  -0.26
C: 4.06 -1.04 -2.16  0.58
C: -0.47 3.70 -3.23  -1.10
C: 2.78 -5.21 1.23  -0.74
C: 1.18 0.03 -0.49  0.71
C: -2.87 5.15 1.17  -0.82
C: -4.02 4.72 2.08  -0.57
C: 3.15 -6.16 2.37  -0.74
C: -1.49 1.39 -2.69  -0.45
C: -3.17 2.50 1.41  -0.68
C: -0.45 0.40 -2.24  -0.21
C: 2.58 -0.54 -0.34  -0.22
C: -0.94 2.35 -3.76  -0.06
C: 0.11 -1.06 -0.66  0.24
C: -3.64 3.33 2.61  -0.66
C: 1.84 -4.17 1.84  0.07
C: 0.84 1.00 -1.65  -0.36
C: 0.80 -4.93 2.67  -0.69
H: 0.96 0.51 0.46  0.40
H: 3.39 0.79 -1.67  0.36
H: 2.41 -3.49 2.48  0.30
H: -2.39 1.78 1.67  0.33
H: -0.13 1.86 -4.30  0.37
H: -3.99 1.98 0.91  0.40
H: 3.83 -5.69 3.08  0.35
H: -3.12 5.95 0.47  0.40
H: -4.48 2.85 3.10  0.34
H: 3.67 -4.75 0.79  0.37
H: -2.31 0.83 -3.14  0.63
H: 0.47 -4.38 3.55  0.38
H: -1.98 5.41 1.74  0.37
H: -0.20 -0.29 -3.05  0.27
H: 1.36 -3.56 1.07  -0.20
H: -1.88 1.91 -1.82  -0.26
H: -2.84 3.42 3.34  0.31
H: -4.17 5.44 2.88  0.37
H: -1.28 4.22 -2.74  0.27
H: -0.10 4.30 -4.06  0.44
H: -4.94 4.66 1.50  0.29
H: -0.06 -5.22 2.08  0.37
H: 1.59 1.07 -2.43  0.71
H: 2.27 -5.77 0.44  0.33
H: 3.55 -7.12 2.05  0.42
H: 0.63 1.97 -1.20  -0.19
H: 0.35 3.58 -2.51  0.25

The energy above the lowest of the compared OMol25 structures with the same formula, charge and spin is 0.000 eV. The value obtained for the LUMO energy is 0.00162 Ha. As for the HOMO-LUMO gap: 9.97 eV. The value obtained for the HOMO energy is -0.3648 hartree. The total energy is -130367.3301 eV.



(2)
Computed, not measured: 7 unconnected molecules or ions with the total composition C17H27Cl18NO3P2S at a distorted geometry, with ωB97M-V/def2-TZVPD.

Each line ends with the Mulliken charge.
Cartesian coordinates (Å):
Cl: 3.26 -0.15 6.40  -0.14
Cl: -6.87 3.80 -2.17  -0.13
Cl: -5.08 4.59 2.94  -0.10
Cl: -2.70 -2.17 2.19  -0.06
Cl: 6.00 0.78 6.65  -0.14
Cl: -3.14 6.56 3.83  -0.14
Cl: -2.32 4.41 2.05  -0.02
Cl: -1.76 -4.66 0.99  -0.08
Cl: -3.19 -1.55 -3.91  -0.11
Cl: 5.46 -1.93 5.74  -0.13
Cl: 2.93 -4.85 0.48  -0.09
Cl: -4.39 -1.79 -6.54  -0.14
Cl: -1.85 -3.09 -5.98  -0.15
Cl: 4.16 -7.16 -0.77  -0.13
Cl: -4.76 4.11 -0.19  -0.04
Cl: 1.29 -6.76 -0.97  -0.11
Cl: -1.75 -4.34 3.88  -0.12
Cl: -7.04 5.91 -0.18  -0.12
S: -3.23 1.28 2.76  -0.29
P: 0.35 0.46 1.34  0.69
P: 1.58 -1.30 0.82  0.23
O: 2.04 1.18 -4.33  -0.37
O: -0.02 0.98 -5.25  -0.52
O: 4.03 0.28 2.41  -0.43
N: -0.65 1.94 1.91  -0.62
C: 1.84 1.24 2.20  -0.86
C: -2.88 -1.68 -5.64  0.17
C: 0.66 -0.83 -3.80  0.11
C: 1.29 1.33 -1.27  -0.06
C: 0.83 0.53 -4.54  0.60
C: 0.61 -2.55 -0.21  0.50
C: 1.90 2.41 -3.59  -0.74
C: 0.00 0.90 -0.45  -1.14
C: -3.64 5.50 2.50  -0.09
C: -2.58 -3.93 2.37  -0.14
C: 0.90 2.36 -2.40  -1.08
C: 4.90 -0.25 5.74  0.47
C: -6.49 4.26 -0.50  0.00
C: 1.88 -2.19 2.47  -1.01
C: -1.72 1.52 2.27  0.36
C: 2.87 -5.97 -0.89  0.01
C: 3.23 0.79 1.65  -0.09
H: 1.63 -1.26 -3.46  0.36
H: -0.54 0.03 -0.90  0.34
H: 0.95 3.37 -1.91  0.50
H: 3.01 -5.40 -1.80  0.28
H: 1.65 -1.43 3.27  0.36
H: -0.28 -2.88 0.38  -0.44
H: 1.22 -3.47 -0.45  -0.22
H: -3.59 -4.33 2.42  0.38
H: 1.73 2.35 2.09  0.57
H: 2.92 2.63 -3.18  0.37
H: 0.25 -2.14 -1.18  0.00
H: 0.07 -1.55 -4.42  0.15
H: 1.64 3.29 -4.22  0.32
H: -0.55 -0.40 2.07  -0.15
H: 4.87 0.10 4.71  -0.05
H: 1.12 -3.00 2.56  0.36
H: -3.88 6.12 1.64  0.33
H: -0.67 1.80 -0.43  0.63
H: -0.17 2.26 -2.72  0.44
H: 1.87 0.46 -1.64  0.37
H: -2.35 -0.79 -5.97  0.21
H: 3.52 0.92 0.57  0.27
H: 2.93 -2.53 2.56  0.32
H: 0.06 -0.61 -2.89  -0.44
H: 1.93 1.91 -0.55  0.31
H: 1.76 0.97 3.28  0.40
*/

To do
Please transcribe all of the rows further above with every line break kept.

Result
(1)
Computed, not measured: 3 unconnected molecules or ions with the total composition C17H27BrFNO8S2, with ωB97M-V/def2-TZVPD.

Each line ends with the Mulliken charge.
Cartesian coordinates (Å):
Br: -2.35 2.71 -5.07  -0.16
S: -2.49 3.67 0.23  1.25
S: 1.60 -6.43 3.23  1.15
F: 3.40 -0.91 -3.32  -0.21
O: 0.94 -7.57 2.63  -0.65
O: 4.90 -1.86 -2.01  -0.41
O: 0.17 -2.23 -0.45  -0.57
O: 1.81 -6.39 4.65  -0.68
O: -1.06 3.50 0.13  -0.66
O: -0.98 -0.43 -1.17  -0.39
O: 2.84 -1.34 0.52  -0.43
O: -3.30 3.66 -0.96  -0.67
N: 3.61 -0.09 -1.23  -0.26
C: 4.06 -1.04 -2.16  0.58
C: -0.47 3.70 -3.23  -1.10
C: 2.78 -5.21 1.23  -0.74
C: 1.18 0.03 -0.49  0.71
C: -2.87 5.15 1.17  -0.82
C: -4.02 4.72 2.08  -0.57
C: 3.15 -6.16 2.37  -0.74
C: -1.49 1.39 -2.69  -0.45
C: -3.17 2.50 1.41  -0.68
C: -0.45 0.40 -2.24  -0.21
C: 2.58 -0.54 -0.34  -0.22
C: -0.94 2.35 -3.76  -0.06
C: 0.11 -1.06 -0.66  0.24
C: -3.64 3.33 2.61  -0.66
C: 1.84 -4.17 1.84  0.07
C: 0.84 1.00 -1.65  -0.36
C: 0.80 -4.93 2.67  -0.69
H: 0.96 0.51 0.46  0.40
H: 3.39 0.79 -1.67  0.36
H: 2.41 -3.49 2.48  0.30
H: -2.39 1.78 1.67  0.33
H: -0.13 1.86 -4.30  0.37
H: -3.99 1.98 0.91  0.40
H: 3.83 -5.69 3.08  0.35
H: -3.12 5.95 0.47  0.40
H: -4.48 2.85 3.10  0.34
H: 3.67 -4.75 0.79  0.37
H: -2.31 0.83 -3.14  0.63
H: 0.47 -4.38 3.55  0.38
H: -1.98 5.41 1.74  0.37
H: -0.20 -0.29 -3.05  0.27
H: 1.36 -3.56 1.07  -0.20
H: -1.88 1.91 -1.82  -0.26
H: -2.84 3.42 3.34  0.31
H: -4.17 5.44 2.88  0.37
H: -1.28 4.22 -2.74  0.27
H: -0.10 4.30 -4.06  0.44
H: -4.94 4.66 1.50  0.29
H: -0.06 -5.22 2.08  0.37
H: 1.59 1.07 -2.43  0.71
H: 2.27 -5.77 0.44  0.33
H: 3.55 -7.12 2.05  0.42
H: 0.63 1.97 -1.20  -0.19
H: 0.35 3.58 -2.51  0.25

The energy above the lowest of the compared OMol25 structures with the same formula, charge and spin is 0.000 eV. The value obtained for the LUMO energy is 0.00162 Ha. As for the HOMO-LUMO gap: 9.97 eV. The value obtained for the HOMO energy is -0.3648 hartree. The total energy is -130367.3301 eV.



(2)
Computed, not measured: 7 unconnected molecules or ions with the total composition C17H27Cl18NO3P2S at a distorted geometry, with ωB97M-V/def2-TZVPD.

Each line ends with the Mulliken charge.
Cartesian coordinates (Å):
Cl: 3.26 -0.15 6.40  -0.14
Cl: -6.87 3.80 -2.17  -0.13
Cl: -5.08 4.59 2.94  -0.10
Cl: -2.70 -2.17 2.19  -0.06
Cl: 6.00 0.78 6.65  -0.14
Cl: -3.14 6.56 3.83  -0.14
Cl: -2.32 4.41 2.05  -0.02
Cl: -1.76 -4.66 0.99  -0.08
Cl: -3.19 -1.55 -3.91  -0.11
Cl: 5.46 -1.93 5.74  -0.13
Cl: 2.93 -4.85 0.48  -0.09
Cl: -4.39 -1.79 -6.54  -0.14
Cl: -1.85 -3.09 -5.98  -0.15
Cl: 4.16 -7.16 -0.77  -0.13
Cl: -4.76 4.11 -0.19  -0.04
Cl: 1.29 -6.76 -0.97  -0.11
Cl: -1.75 -4.34 3.88  -0.12
Cl: -7.04 5.91 -0.18  -0.12
S: -3.23 1.28 2.76  -0.29
P: 0.35 0.46 1.34  0.69
P: 1.58 -1.30 0.82  0.23
O: 2.04 1.18 -4.33  -0.37
O: -0.02 0.98 -5.25  -0.52
O: 4.03 0.28 2.41  -0.43
N: -0.65 1.94 1.91  -0.62
C: 1.84 1.24 2.20  -0.86
C: -2.88 -1.68 -5.64  0.17
C: 0.66 -0.83 -3.80  0.11
C: 1.29 1.33 -1.27  -0.06
C: 0.83 0.53 -4.54  0.60
C: 0.61 -2.55 -0.21  0.50
C: 1.90 2.41 -3.59  -0.74
C: 0.00 0.90 -0.45  -1.14
C: -3.64 5.50 2.50  -0.09
C: -2.58 -3.93 2.37  -0.14
C: 0.90 2.36 -2.40  -1.08
C: 4.90 -0.25 5.74  0.47
C: -6.49 4.26 -0.50  0.00
C: 1.88 -2.19 2.47  -1.01
C: -1.72 1.52 2.27  0.36
C: 2.87 -5.97 -0.89  0.01
C: 3.23 0.79 1.65  -0.09
H: 1.63 -1.26 -3.46  0.36
H: -0.54 0.03 -0.90  0.34
H: 0.95 3.37 -1.91  0.50
H: 3.01 -5.40 -1.80  0.28
H: 1.65 -1.43 3.27  0.36
H: -0.28 -2.88 0.38  -0.44
H: 1.22 -3.47 -0.45  -0.22
H: -3.59 -4.33 2.42  0.38
H: 1.73 2.35 2.09  0.57
H: 2.92 2.63 -3.18  0.37
H: 0.25 -2.14 -1.18  0.00
H: 0.07 -1.55 -4.42  0.15
H: 1.64 3.29 -4.22  0.32
H: -0.55 -0.40 2.07  -0.15
H: 4.87 0.10 4.71  -0.05
H: 1.12 -3.00 2.56  0.36
H: -3.88 6.12 1.64  0.33
H: -0.67 1.80 -0.43  0.63
H: -0.17 2.26 -2.72  0.44
H: 1.87 0.46 -1.64  0.37
H: -2.35 -0.79 -5.97  0.21
H: 3.52 0.92 0.57  0.27
H: 2.93 -2.53 2.56  0.32
H: 0.06 -0.61 -2.89  -0.44
H: 1.93 1.91 -0.55  0.31
H: 1.76 0.97 3.28  0.40